### Activity
Please write out all of the rows further down exactly.
### Material
- - -
1.
4
Lattice="-0.7966 -1.2729 -3.8030 3.6680 -1.7989 -0.1662 -2.3979 -5.0931 2.2069" Properties=species:S:1:pos:R:3 comment="PBE CaCr2Br, relaxed" final_energy_ev_per_atom=-5.190 total_magnetization_mub_per_fu=9.653 pbc="T T T"
Br 0.8362 -2.8092 -1.4328
Ca -0.3627 -5.3557 -0.3294
Cr -1.2016 -2.5523 1.1060
Cr -2.3952 -5.0874 2.2045

2.
4
Lattice="-0.5618 -5.3250 -2.1806 1.5537 -3.8433 4.0300 -3.8127 4.1541 -1.2778" Properties=species:S:1:pos:R:3 comment="PBE CaCr2Br, relaxed" final_energy_ev_per_atom=-5.400 total_magnetization_mub_per_fu=0.103 pbc="T T T"
Cr -0.8863 -2.0921 1.8295
Br 0.4654 -4.3014 0.8677
Cr 0.0545 -0.5039 0.1016
Ca -1.9584 -2.7010 -1.3024

3.
4
Lattice="-3.6020 -2.6503 3.2438 -5.2662 -0.5361 -1.5812 -1.9441 -4.9494 -1.4981" Properties=species:S:1:pos:R:3 comment="PBE Ca2CrBr, relaxed" final_energy_ev_per_atom=-3.811 total_magnetization_mub_per_fu=4.912 pbc="T T T"
Cr 0.0000 0.0000 0.0000
Ca -2.7031 -2.0339 0.0411
Br -5.4061 -4.0679 0.0822
Ca -8.1092 -6.1018 0.1233

Question: Number 1 is which compound?
Answer: CaCr2Br


[1]
A plane-wave DFT calculation with GGA-PBE was carried out for crystalline Na2AuF at its relaxed geometry.

Geometry as POSCAR:
```
Na2AuF
1.0
2.933 0.000 0.000
0.000 2.933 0.000
0.000 0.000 7.465
Na Au F
2 1 1
direct
0.000 0.000 0.188
0.000 0.000 0.812
0.500 0.500 0.500
0.500 0.500 0.000
```

Summary:
ΔE_f (raw): -1.3900 eV/atom
V: 64.2 Å³/cell
D(E_F): 0.3 states/eV/cell

[2]
A plane-wave DFT calculation with GGA-PBE was carried out for crystalline ZrTl2Tc at its relaxed geometry.

Geometry as POSCAR:
```
ZrTl2Tc
1.0
11.157 0.000 0.000
0.000 3.485 0.000
-2.169 0.000 4.431
Zr Tl Tc
2 4 2
direct
0.000 0.000 0.000
0.500 0.500 0.000
0.054 0.500 0.554
0.279 0.500 0.278
0.554 0.000 0.554
0.779 0.000 0.278
0.301 0.000 0.800
0.801 0.500 0.800
```

Summary:
formation energy: 0.28 eV per atom
V: 172.3 Å³/cell
D(E_F): 5.9 states/eV/cell

| no. | E above lowest polymorph (meV/atom) |
| --- | --- |
| 1 | 0 |
| 2 | 47 |


The following is a DFT calculation (PBE) of a relaxed structure of KCa2HgIr.

As for the volume: 166.2 Å³/cell. As for the density of states at the Fermi level: 1.4 states/eV/f.u. Its crystal system is tetragonal. The value obtained for the energy of formation is -0.1571 eV per atom.

The space group is P4/mmm (No. 123) and the conventional cell measures 5.4989, 5.4989 and 5.4976 Å, with angles of 90.00, 90.00 and 90.00 degrees. The asymmetric unit holds K at (0.0000, 0.0000, 0.0000), Ca at (0.0000, 0.5000, 0.5000), Hg at (0.5000, 0.5000, 0.0000) and Ir at (0.5000, 0.5000, 0.5000).

---

The following is a DFT calculation (PBE) of a relaxed structure of CaLa2HgIr.

As for the volume: 172.9 Å³/cell. As for the density of states at the Fermi level: 4.6 states/eV/f.u. Its crystal system is tetragonal. The calculation puts the energy relative to the lowest polymorph listed for this composition at 0 meV/atom. The value obtained for the energy of formation is -0.4189 eV per atom.

The space group is P4/mmm (No. 123) and the conventional cell measures 5.5299, 5.5299 and 5.6548 Å, with angles of 90.00, 90.00 and 90.00 degrees. The asymmetric unit holds Ca at (0.0000, 0.0000, 0.0000), La at (0.0000, 0.5000, 0.5000), Hg at (0.5000, 0.5000, 0.0000) and Ir at (0.0000, 0.0000, 0.5000).

---

The following is a DFT calculation (PBE) of a relaxed structure of CaLa2HgIr.

As for the volume: 176.3 Å³/cell. As for the density of states at the Fermi level: 9.7 states/eV/f.u. Its crystal system is tetragonal. The calculation puts the energy relative to the lowest polymorph listed for this composition at 866 meV/atom. The value obtained for the energy of formation is 0.4470 eV per atom.

The space group is P4/mmm (No. 123) and the conventional cell measures 5.8677, 5.8677 and 5.1209 Å, with angles of 90.00, 90.00 and 90.00 degrees. The asymmetric unit holds Ca at (0.0000, 0.0000, 0.0000), La at (0.0000, 0.5000, 0.5000), Hg at (0.5000, 0.5000, 0.5000) and Ir at (0.5000, 0.5000, 0.0000).

---
- - -
### Response
1.
4
Lattice="-0.7966 -1.2729 -3.8030 3.6680 -1.7989 -0.1662 -2.3979 -5.0931 2.2069" Properties=species:S:1:pos:R:3 comment="PBE CaCr2Br, relaxed" final_energy_ev_per_atom=-5.190 total_magnetization_mub_per_fu=9.653 pbc="T T T"
Br 0.8362 -2.8092 -1.4328
Ca -0.3627 -5.3557 -0.3294
Cr -1.2016 -2.5523 1.1060
Cr -2.3952 -5.0874 2.2045

2.
4
Lattice="-0.5618 -5.3250 -2.1806 1.5537 -3.8433 4.0300 -3.8127 4.1541 -1.2778" Properties=species:S:1:pos:R:3 comment="PBE CaCr2Br, relaxed" final_energy_ev_per_atom=-5.400 total_magnetization_mub_per_fu=0.103 pbc="T T T"
Cr -0.8863 -2.0921 1.8295
Br 0.4654 -4.3014 0.8677
Cr 0.0545 -0.5039 0.1016
Ca -1.9584 -2.7010 -1.3024

3.
4
Lattice="-3.6020 -2.6503 3.2438 -5.2662 -0.5361 -1.5812 -1.9441 -4.9494 -1.4981" Properties=species:S:1:pos:R:3 comment="PBE Ca2CrBr, relaxed" final_energy_ev_per_atom=-3.811 total_magnetization_mub_per_fu=4.912 pbc="T T T"
Cr 0.0000 0.0000 0.0000
Ca -2.7031 -2.0339 0.0411
Br -5.4061 -4.0679 0.0822
Ca -8.1092 -6.1018 0.1233

Question: Number 1 is which compound?
Answer: CaCr2Br


[1]
A plane-wave DFT calculation with GGA-PBE was carried out for crystalline Na2AuF at its relaxed geometry.

Geometry as POSCAR:
```
Na2AuF
1.0
2.933 0.000 0.000
0.000 2.933 0.000
0.000 0.000 7.465
Na Au F
2 1 1
direct
0.000 0.000 0.188
0.000 0.000 0.812
0.500 0.500 0.500
0.500 0.500 0.000
```

Summary:
ΔE_f (raw): -1.3900 eV/atom
V: 64.2 Å³/cell
D(E_F): 0.3 states/eV/cell

[2]
A plane-wave DFT calculation with GGA-PBE was carried out for crystalline ZrTl2Tc at its relaxed geometry.

Geometry as POSCAR:
```
ZrTl2Tc
1.0
11.157 0.000 0.000
0.000 3.485 0.000
-2.169 0.000 4.431
Zr Tl Tc
2 4 2
direct
0.000 0.000 0.000
0.500 0.500 0.000
0.054 0.500 0.554
0.279 0.500 0.278
0.554 0.000 0.554
0.779 0.000 0.278
0.301 0.000 0.800
0.801 0.500 0.800
```

Summary:
formation energy: 0.28 eV per atom
V: 172.3 Å³/cell
D(E_F): 5.9 states/eV/cell

| no. | E above lowest polymorph (meV/atom) |
| --- | --- |
| 1 | 0 |
| 2 | 47 |


The following is a DFT calculation (PBE) of a relaxed structure of KCa2HgIr.

As for the volume: 166.2 Å³/cell. As for the density of states at the Fermi level: 1.4 states/eV/f.u. Its crystal system is tetragonal. The value obtained for the energy of formation is -0.1571 eV per atom.

The space group is P4/mmm (No. 123) and the conventional cell measures 5.4989, 5.4989 and 5.4976 Å, with angles of 90.00, 90.00 and 90.00 degrees. The asymmetric unit holds K at (0.0000, 0.0000, 0.0000), Ca at (0.0000, 0.5000, 0.5000), Hg at (0.5000, 0.5000, 0.0000) and Ir at (0.5000, 0.5000, 0.5000).

---

The following is a DFT calculation (PBE) of a relaxed structure of CaLa2HgIr.

As for the volume: 172.9 Å³/cell. As for the density of states at the Fermi level: 4.6 states/eV/f.u. Its crystal system is tetragonal. The calculation puts the energy relative to the lowest polymorph listed for this composition at 0 meV/atom. The value obtained for the energy of formation is -0.4189 eV per atom.

The space group is P4/mmm (No. 123) and the conventional cell measures 5.5299, 5.5299 and 5.6548 Å, with angles of 90.00, 90.00 and 90.00 degrees. The asymmetric unit holds Ca at (0.0000, 0.0000, 0.0000), La at (0.0000, 0.5000, 0.5000), Hg at (0.5000, 0.5000, 0.0000) and Ir at (0.0000, 0.0000, 0.5000).

---

The following is a DFT calculation (PBE) of a relaxed structure of CaLa2HgIr.

As for the volume: 176.3 Å³/cell. As for the density of states at the Fermi level: 9.7 states/eV/f.u. Its crystal system is tetragonal. The calculation puts the energy relative to the lowest polymorph listed for this composition at 866 meV/atom. The value obtained for the energy of formation is 0.4470 eV per atom.

The space group is P4/mmm (No. 123) and the conventional cell measures 5.8677, 5.8677 and 5.1209 Å, with angles of 90.00, 90.00 and 90.00 degrees. The asymmetric unit holds Ca at (0.0000, 0.0000, 0.0000), La at (0.0000, 0.5000, 0.5000), Hg at (0.5000, 0.5000, 0.5000) and Ir at (0.5000, 0.5000, 0.0000).

---